== Job ==
Now return the lines underneath from the first line to the one with "Li2 0.0000" word for word.

== Given ==
┌──
Structure and calculated X-ray powder pattern of Li2Be17B3 (a DFT-relaxed cell (PBE, Alexandria); CuKα).
Neutral-atom scattering factors, no anomalous dispersion.

Most intense lines, 2θ = 10–90°, low angle first:
| two_theta | intensity |
| --- | --- |
| 15.21 | 30 |
| 22.46 | 54 |
| 27.24 | 25 |
| 45.85 | 100 |
| 46.78 | 37 |
| 49.50 | 45 |
| 54.15 | 28 |
| 69.76 | 37 |

Structural model:
```
data_Li2Be17B3
_space_group_name_H-M_alt 'R -3 m'
_space_group_IT_number 166
_space_group_name_Hall '-R 3 2"'
_cell_length_a 7.9165
_cell_length_b 7.9165
_cell_length_c 11.0483
_cell_angle_alpha 90.00
_cell_angle_beta 90.00
_cell_angle_gamma 120.00
loop_
_atom_site_label
_atom_site_fract_x
_atom_site_fract_y
_atom_site_fract_z
_atom_site_occupancy
Li1 0.0000 0.0000 0.1625 1
Be1 0.0000 0.0000 0.4021 1
Be2 0.0000 0.2676 0.5000 1
Be3 0.0000 0.5000 0.0000 1
Be4 0.0119 0.5059 0.3359 1
B1 0.0000 0.5000 0.5000 1
```

Structure and calculated X-ray powder pattern of Li2BeB (a DFT-relaxed cell (PBE, Alexandria); CuKα).
Neutral-atom scattering factors, no anomalous dispersion.

Most intense lines, 2θ = 10–90°, low angle first:
| two_theta | intensity |
| --- | --- |
| 19.78 | 100 |
| 27.12 | 14 |
| 40.18 | 29 |
| 45.17 | 12 |
| 53.87 | 7 |
| 58.13 | 9 |
| 61.86 | 9 |
| 76.37 | 5 |

Structural model:
```
data_Li2BeB
_space_group_name_H-M_alt 'I -4 2 d'
_space_group_IT_number 122
_space_group_name_Hall 'I -4 2bw'
_cell_length_a 8.9765
_cell_length_b 8.9765
_cell_length_c 3.5334
_cell_angle_alpha 90.00
_cell_angle_beta 90.00
_cell_angle_gamma 90.00
loop_
_atom_site_label
_atom_site_fract_x
_atom_site_fract_y
_atom_site_fract_z
_atom_site_occupancy
Li1 0.0034 0.2500 0.1250 1
Be1 0.0000 0.0000 0.5000 1
B1 0.0000 0.0000 0.0000 1
```

Structure and calculated X-ray powder pattern of LiBeB5 (a DFT-relaxed cell (PBE, Alexandria); CuKα).
Neutral-atom scattering factors, no anomalous dispersion.

Most intense lines, 2θ = 10–90°, low angle first:
| two_theta | intensity |
| --- | --- |
| 20.34 | 100 |
| 33.91 | 4 |
| 41.35 | 6 |
| 43.74 | 13 |
| 63.19 | 5 |
| 63.86 | 4 |
| 64.05 | 4 |
| 67.89 | 4 |

Structural model:
```
data_LiBeB5
_space_group_name_H-M_alt 'P -1'
_space_group_IT_number 2
_space_group_name_Hall '-P 1'
_cell_length_a 3.3908
_cell_length_b 4.4523
_cell_length_c 8.7333
_cell_angle_alpha 90.05
_cell_angle_beta 90.15
_cell_angle_gamma 101.60
loop_
_atom_site_label
_atom_site_fract_x
_atom_site_fract_y
_atom_site_fract_z
_atom_site_occupancy
Li1 0.0000 0.0000 0.0000 1
Li2 0.0000 0.5000 0.5000 1
Be1 0.0013 0.0003 0.3650 1
B1 0.1622 0.6718 0.2168 1
B2 0.1618 0.6720 0.7831 1
B3 0.3303 0.3341 0.7266 1
B4 0.3315 0.3343 0.2735 1
B5 0.5002 0.9999 0.2176 1
```

Structure and calculated X-ray powder pattern of MgBe2B (a DFT-relaxed cell (PBE, Alexandria); CuKα).
Neutral-atom scattering factors, no anomalous dispersion.

Most intense lines, 2θ = 10–90°, low angle first:
| two_theta | intensity |
| --- | --- |
| 30.64 | 100 |
| 30.82 | 47 |
| 36.05 | 86 |
| 36.21 | 45 |
| 37.60 | 61 |
| 49.26 | 54 |
| 54.69 | 45 |
| 68.27 | 37 |

Structural model:
```
data_MgBe2B
_space_group_name_H-M_alt 'P m m n'
_space_group_IT_number 59
_cell_length_a 3.3756
_cell_length_b 5.8031
_cell_length_c 4.7843
_cell_angle_alpha 90.00
_cell_angle_beta 90.00
_cell_angle_gamma 90.00
loop_
_space_group_symop_operation_xyz
'x,y,z'
'-x,-y,-z'
'-x+1/2,-y+1/2,z'
'x+1/2,y+1/2,-z'
'x+1/2,-y,-z'
'-x+1/2,y,z'
'-x,y+1/2,-z'
'x,-y+1/2,z'
loop_
_atom_site_label
_atom_site_fract_x
_atom_site_fract_y
_atom_site_fract_z
_atom_site_occupancy
Mg1 0.2500 0.2500 0.0014 1
Be1 0.2500 0.5797 0.5698 1
B1 0.2500 0.2500 0.5049 1
```

Structure and calculated X-ray powder pattern of MgBe2B4 (a DFT-relaxed cell (PBE, Alexandria); CuKα).
Neutral-atom scattering factors, no anomalous dispersion.

Most intense lines, 2θ = 10–90°, low angle first:
| two_theta | intensity |
| --- | --- |
| 10.26 | 100 |
| 36.55 | 38 |
| 40.95 | 49 |
| 47.52 | 31 |
| 53.12 | 10 |
| 55.71 | 9 |
| 62.75 | 20 |
| 86.67 | 15 |
└──

== Worked solution ==
Structure and calculated X-ray powder pattern of Li2Be17B3 (a DFT-relaxed cell (PBE, Alexandria); CuKα).
Neutral-atom scattering factors, no anomalous dispersion.

Most intense lines, 2θ = 10–90°, low angle first:
| two_theta | intensity |
| --- | --- |
| 15.21 | 30 |
| 22.46 | 54 |
| 27.24 | 25 |
| 45.85 | 100 |
| 46.78 | 37 |
| 49.50 | 45 |
| 54.15 | 28 |
| 69.76 | 37 |

Structural model:
```
data_Li2Be17B3
_space_group_name_H-M_alt 'R -3 m'
_space_group_IT_number 166
_space_group_name_Hall '-R 3 2"'
_cell_length_a 7.9165
_cell_length_b 7.9165
_cell_length_c 11.0483
_cell_angle_alpha 90.00
_cell_angle_beta 90.00
_cell_angle_gamma 120.00
loop_
_atom_site_label
_atom_site_fract_x
_atom_site_fract_y
_atom_site_fract_z
_atom_site_occupancy
Li1 0.0000 0.0000 0.1625 1
Be1 0.0000 0.0000 0.4021 1
Be2 0.0000 0.2676 0.5000 1
Be3 0.0000 0.5000 0.0000 1
Be4 0.0119 0.5059 0.3359 1
B1 0.0000 0.5000 0.5000 1
```

Structure and calculated X-ray powder pattern of Li2BeB (a DFT-relaxed cell (PBE, Alexandria); CuKα).
Neutral-atom scattering factors, no anomalous dispersion.

Most intense lines, 2θ = 10–90°, low angle first:
| two_theta | intensity |
| --- | --- |
| 19.78 | 100 |
| 27.12 | 14 |
| 40.18 | 29 |
| 45.17 | 12 |
| 53.87 | 7 |
| 58.13 | 9 |
| 61.86 | 9 |
| 76.37 | 5 |

Structural model:
```
data_Li2BeB
_space_group_name_H-M_alt 'I -4 2 d'
_space_group_IT_number 122
_space_group_name_Hall 'I -4 2bw'
_cell_length_a 8.9765
_cell_length_b 8.9765
_cell_length_c 3.5334
_cell_angle_alpha 90.00
_cell_angle_beta 90.00
_cell_angle_gamma 90.00
loop_
_atom_site_label
_atom_site_fract_x
_atom_site_fract_y
_atom_site_fract_z
_atom_site_occupancy
Li1 0.0034 0.2500 0.1250 1
Be1 0.0000 0.0000 0.5000 1
B1 0.0000 0.0000 0.0000 1
```

Structure and calculated X-ray powder pattern of LiBeB5 (a DFT-relaxed cell (PBE, Alexandria); CuKα).
Neutral-atom scattering factors, no anomalous dispersion.

Most intense lines, 2θ = 10–90°, low angle first:
| two_theta | intensity |
| --- | --- |
| 20.34 | 100 |
| 33.91 | 4 |
| 41.35 | 6 |
| 43.74 | 13 |
| 63.19 | 5 |
| 63.86 | 4 |
| 64.05 | 4 |
| 67.89 | 4 |

Structural model:
```
data_LiBeB5
_space_group_name_H-M_alt 'P -1'
_space_group_IT_number 2
_space_group_name_Hall '-P 1'
_cell_length_a 3.3908
_cell_length_b 4.4523
_cell_length_c 8.7333
_cell_angle_alpha 90.05
_cell_angle_beta 90.15
_cell_angle_gamma 101.60
loop_
_atom_site_label
_atom_site_fract_x
_atom_site_fract_y
_atom_site_fract_z
_atom_site_occupancy
Li1 0.0000 0.0000 0.0000 1
Li2 0.0000 0.5000 0.5000 1